**Activity:**
Echo everything below character by character.
**Listing:**
____________
1.
A plane-wave DFT calculation with PBE was carried out for MgMn4ZnS8 after structural relaxation.

a = 11.887 Å, b = 6.870 Å, c = 7.402 Å
α = 90.00°, β = 122.30°, γ = 90.00°
Space group Cm (No. 8)
Inequivalent atoms, fractional coordinates:
Mg1 0.000 0.000 0.000 x2
Mn1 0.104 0.263 0.572 x4
Mn2 0.344 0.500 0.528 x2
Mn3 0.367 0.000 0.572 x2
Zn1 0.354 0.000 0.060 x2
S1 0.095 0.500 0.782 x2
S2 0.103 0.000 0.786 x2
S3 0.106 0.500 0.348 x2
S4 0.128 0.000 0.382 x2
S5 0.342 0.239 0.786 x4
S6 0.373 0.232 0.348 x4

Computed properties:
electronic total energy	-5.79	eV per atom
M_tot	23.2	Bohr magnetons per cell
ΔE_f	-0.90	eV/atom

2.
A plane-wave DFT calculation with PBE was carried out for Li2CuH14C4N6O8 after structural relaxation.

a = 3.519 Å, b = 12.966 Å, c = 13.512 Å
α = 90.00°, β = 97.29°, γ = 90.00°
Space group P2_1/c (No. 14)
Inequivalent atoms, fractional coordinates:
Li1 0.214 0.094 0.136 x4
Cu1 0.500 0.000 0.500 x2
H1 0.005 0.742 0.760 x4
H2 0.110 0.649 0.833 x4
H3 0.212 0.712 0.624 x4
H4 0.238 0.085 0.823 x4
H5 0.315 0.012 0.676 x4
H6 0.374 0.163 0.607 x4
H7 0.413 0.086 0.935 x4
C1 0.254 0.633 0.155 x4
C2 0.417 0.729 0.002 x4
N1 0.279 0.720 0.094 x4
N2 0.339 0.542 0.123 x4
N3 0.483 0.644 0.953 x4
O1 0.085 0.170 0.722 x4
O2 0.151 0.650 0.242 x4
O3 0.333 0.038 0.879 x4
O4 0.465 0.678 0.470 x4

Computed properties:
electronic total energy	-5.94	eV per atom
M_tot	2.0	Bohr magnetons per cell
ΔE_f	-0.90	eV/atom

=====

No. 1
EuCu2Ge2 | PBE-GGA | relaxed Values from VASP.

Calculated values
calculated total energy	-5.98	eV per atom
energy of formation	-0.436	eV per atom

Quantum ESPRESSO input file:
```
&SYSTEM
  ibrav = 0, nat = 5, ntyp = 3
/
ATOMIC_SPECIES
Eu 151.96 Eu.upf
Cu 63.55 Cu.upf
Ge 72.64 Ge.upf
CELL_PARAMETERS angstrom
-2.097 2.097 5.140
2.097 -2.097 5.140
2.097 2.097 -5.140
ATOMIC_POSITIONS angstrom
Eu 0.000 0.000 0.000
Cu 2.097 0.000 2.570
Cu 0.000 2.097 2.570
Ge 0.000 0.000 3.872
Ge 0.000 0.000 6.408
```

No. 2
Eu2CuGe2O8 | PBE-GGA | relaxed Values from VASP.

Calculated values
calculated total energy	-7.64	eV per atom
energy of formation	-2.415	eV per atom

Quantum ESPRESSO input file:
```
&SYSTEM
  ibrav = 0, nat = 26, ntyp = 4
/
ATOMIC_SPECIES
Eu 151.96 Eu.upf
Cu 63.55 Cu.upf
Ge 72.64 Ge.upf
O 16.00 O.upf
CELL_PARAMETERS angstrom
5.064 -7.631 0.000
5.064 7.631 0.000
-2.538 0.000 4.567
ATOMIC_POSITIONS angstrom
Eu 5.064 5.796 0.000
Eu 3.826 1.843 2.205
Eu 3.826 -1.843 2.205
Eu 5.064 -5.796 0.000
Cu 6.735 3.153 0.772
Cu 6.735 -3.153 0.772
Ge 0.809 3.222 3.314
Ge 0.461 0.000 3.633
Ge 0.809 -3.222 3.314
Ge 7.048 0.000 0.729
O 2.329 2.740 0.223
O -1.300 0.000 3.774
O 0.999 1.423 2.648
O 2.544 3.575 3.387
O 0.999 -1.423 2.648
O 5.205 3.886 1.696
O 3.696 0.000 0.689
O 2.329 -2.740 0.223
O 3.846 0.000 3.651
O 5.377 2.601 4.044
O 6.450 1.463 1.632
O 2.544 -3.575 3.387
O 6.450 -1.463 1.632
O 5.205 -3.886 1.696
O 8.814 0.000 0.652
O 5.377 -2.601 4.044
```

No. 3
Eu2CuGe4O12 | PBE-GGA | relaxed Values from VASP.

Calculated values
calculated total energy	-7.25	eV per atom
energy of formation	-2.287	eV per atom

Quantum ESPRESSO input file:
```
&SYSTEM
  ibrav = 0, nat = 19, ntyp = 4
/
ATOMIC_SPECIES
Eu 151.96 Eu.upf
Cu 63.55 Cu.upf
Ge 72.64 Ge.upf
O 16.00 O.upf
CELL_PARAMETERS angstrom
4.965 0.000 0.000
1.752 7.203 0.000
0.553 3.336 7.483
ATOMIC_POSITIONS angstrom
Eu 0.920 3.456 3.409
Eu 6.349 7.083 4.074
Cu 0.876 3.601 0.000
Ge 4.092 9.014 5.984
Ge 3.571 5.570 1.604
Ge 3.699 4.969 5.879
Ge 3.178 1.524 1.499
O 3.089 8.665 4.604
O 2.384 5.342 2.862
O 2.528 6.283 6.042
O 1.817 2.644 1.380
O 2.693 5.776 0.060
O 2.791 3.479 5.434
O 4.478 7.059 2.049
O 4.577 4.762 7.423
O 5.453 7.895 6.103
O 4.741 4.255 1.441
O 4.885 5.196 4.621
O 4.180 1.873 2.879
```
____________
**Worked solution:**
1.
A plane-wave DFT calculation with PBE was carried out for MgMn4ZnS8 after structural relaxation.

a = 11.887 Å, b = 6.870 Å, c = 7.402 Å
α = 90.00°, β = 122.30°, γ = 90.00°
Space group Cm (No. 8)
Inequivalent atoms, fractional coordinates:
Mg1 0.000 0.000 0.000 x2
Mn1 0.104 0.263 0.572 x4
Mn2 0.344 0.500 0.528 x2
Mn3 0.367 0.000 0.572 x2
Zn1 0.354 0.000 0.060 x2
S1 0.095 0.500 0.782 x2
S2 0.103 0.000 0.786 x2
S3 0.106 0.500 0.348 x2
S4 0.128 0.000 0.382 x2
S5 0.342 0.239 0.786 x4
S6 0.373 0.232 0.348 x4

Computed properties:
electronic total energy	-5.79	eV per atom
M_tot	23.2	Bohr magnetons per cell
ΔE_f	-0.90	eV/atom

2.
A plane-wave DFT calculation with PBE was carried out for Li2CuH14C4N6O8 after structural relaxation.

a = 3.519 Å, b = 12.966 Å, c = 13.512 Å
α = 90.00°, β = 97.29°, γ = 90.00°
Space group P2_1/c (No. 14)
Inequivalent atoms, fractional coordinates:
Li1 0.214 0.094 0.136 x4
Cu1 0.500 0.000 0.500 x2
H1 0.005 0.742 0.760 x4
H2 0.110 0.649 0.833 x4
H3 0.212 0.712 0.624 x4
H4 0.238 0.085 0.823 x4
H5 0.315 0.012 0.676 x4
H6 0.374 0.163 0.607 x4
H7 0.413 0.086 0.935 x4
C1 0.254 0.633 0.155 x4
C2 0.417 0.729 0.002 x4
N1 0.279 0.720 0.094 x4
N2 0.339 0.542 0.123 x4
N3 0.483 0.644 0.953 x4
O1 0.085 0.170 0.722 x4
O2 0.151 0.650 0.242 x4
O3 0.333 0.038 0.879 x4
O4 0.465 0.678 0.470 x4

Computed properties:
electronic total energy	-5.94	eV per atom
M_tot	2.0	Bohr magnetons per cell
ΔE_f	-0.90	eV/atom

=====

No. 1
EuCu2Ge2 | PBE-GGA | relaxed Values from VASP.

Calculated values
calculated total energy	-5.98	eV per atom
energy of formation	-0.436	eV per atom

Quantum ESPRESSO input file:
```
&SYSTEM
  ibrav = 0, nat = 5, ntyp = 3
/
ATOMIC_SPECIES
Eu 151.96 Eu.upf
Cu 63.55 Cu.upf
Ge 72.64 Ge.upf
CELL_PARAMETERS angstrom
-2.097 2.097 5.140
2.097 -2.097 5.140
2.097 2.097 -5.140
ATOMIC_POSITIONS angstrom
Eu 0.000 0.000 0.000
Cu 2.097 0.000 2.570
Cu 0.000 2.097 2.570
Ge 0.000 0.000 3.872
Ge 0.000 0.000 6.408
```

No. 2
Eu2CuGe2O8 | PBE-GGA | relaxed Values from VASP.

Calculated values
calculated total energy	-7.64	eV per atom
energy of formation	-2.415	eV per atom

Quantum ESPRESSO input file:
```
&SYSTEM
  ibrav = 0, nat = 26, ntyp = 4
/
ATOMIC_SPECIES
Eu 151.96 Eu.upf
Cu 63.55 Cu.upf
Ge 72.64 Ge.upf
O 16.00 O.upf
CELL_PARAMETERS angstrom
5.064 -7.631 0.000
5.064 7.631 0.000
-2.538 0.000 4.567
ATOMIC_POSITIONS angstrom
Eu 5.064 5.796 0.000
Eu 3.826 1.843 2.205
Eu 3.826 -1.843 2.205
Eu 5.064 -5.796 0.000
Cu 6.735 3.153 0.772
Cu 6.735 -3.153 0.772
Ge 0.809 3.222 3.314
Ge 0.461 0.000 3.633
Ge 0.809 -3.222 3.314
Ge 7.048 0.000 0.729
O 2.329 2.740 0.223
O -1.300 0.000 3.774
O 0.999 1.423 2.648
O 2.544 3.575 3.387
O 0.999 -1.423 2.648
O 5.205 3.886 1.696
O 3.696 0.000 0.689
O 2.329 -2.740 0.223
O 3.846 0.000 3.651
O 5.377 2.601 4.044
O 6.450 1.463 1.632
O 2.544 -3.575 3.387
O 6.450 -1.463 1.632
O 5.205 -3.886 1.696
O 8.814 0.000 0.652
O 5.377 -2.601 4.044
```

No. 3
Eu2CuGe4O12 | PBE-GGA | relaxed Values from VASP.

Calculated values
calculated total energy	-7.25	eV per atom
energy of formation	-2.287	eV per atom

Quantum ESPRESSO input file:
```
&SYSTEM
  ibrav = 0, nat = 19, ntyp = 4
/
ATOMIC_SPECIES
Eu 151.96 Eu.upf
Cu 63.55 Cu.upf
Ge 72.64 Ge.upf
O 16.00 O.upf
CELL_PARAMETERS angstrom
4.965 0.000 0.000
1.752 7.203 0.000
0.553 3.336 7.483
ATOMIC_POSITIONS angstrom
Eu 0.920 3.456 3.409
Eu 6.349 7.083 4.074
Cu 0.876 3.601 0.000
Ge 4.092 9.014 5.984
Ge 3.571 5.570 1.604
Ge 3.699 4.969 5.879
Ge 3.178 1.524 1.499
O 3.089 8.665 4.604
O 2.384 5.342 2.862
O 2.528 6.283 6.042
O 1.817 2.644 1.380
O 2.693 5.776 0.060
O 2.791 3.479 5.434
O 4.478 7.059 2.049
O 4.577 4.762 7.423
O 5.453 7.895 6.103
O 4.741 4.255 1.441
O 4.885 5.196 4.621
O 4.180 1.873 2.879
```